## Excerpt
/*
Below is a structure of composition C82H182O6P5, with properties calculated with ωB97M-V/def2-TZVPD.

Results
Energy relative to the best compared isomer or geometry (same formula, charge and spin)   612.1 kJ/mol

ORCA input file:
```
! RIJCOSX wB97M-V def2-TZVPD def2/J DEFGRID3
* xyz 3 1
C 1.93 2.56 8.67
C 1.92 1.12 9.30
C 3.34 0.49 9.26
C 3.97 0.16 7.84
P 5.69 -0.62 7.89
C 6.59 0.11 9.33
C 7.19 1.58 9.23
C 6.38 2.82 9.66
C 7.14 4.04 10.06
C 6.73 -0.36 6.39
C 8.08 -1.08 6.57
C 9.09 -0.70 5.54
C 10.50 -1.42 5.57
C 5.52 -2.44 8.09
C 4.95 -2.84 9.50
C 5.20 -4.36 9.83
C 4.38 -4.82 11.03
H 0.97 3.05 8.83
H 1.99 2.55 7.58
H 2.76 3.11 9.11
H 1.11 0.52 8.90
H 1.57 1.19 10.33
H 3.18 -0.49 9.72
H 4.05 0.98 9.92
H 4.03 0.98 7.12
H 3.39 -0.60 7.31
H 7.37 -0.59 9.64
H 5.91 -0.08 10.16
H 7.63 1.59 8.24
H 8.04 1.54 9.92
H 5.66 2.37 10.35
H 5.66 3.14 8.90
H 7.55 3.82 11.04
H 6.46 4.86 10.31
H 7.90 4.33 9.34
H 6.80 0.70 6.15
H 6.21 -0.89 5.59
H 7.88 -2.13 6.37
H 8.52 -0.91 7.55
H 9.37 0.34 5.70
H 8.83 -0.74 4.48
H 11.02 -1.39 6.53
H 11.15 -0.99 4.81
H 10.44 -2.44 5.21
H 6.48 -2.94 7.97
H 4.81 -2.63 7.29
H 3.88 -2.66 9.34
H 5.31 -2.23 10.33
H 6.25 -4.48 10.09
H 4.95 -4.95 8.95
H 4.69 -4.25 11.91
H 4.55 -5.89 11.13
H 3.31 -4.73 10.85
C -6.70 -11.20 -3.17
C -7.38 -9.83 -3.34
C -7.43 -9.06 -2.03
C -8.46 -9.65 -0.96
P -8.69 -8.70 0.60
C -9.73 -9.71 1.72
C -9.19 -11.14 2.01
C -7.93 -11.26 2.89
C -8.19 -10.86 4.38
C -7.04 -8.35 1.33
C -7.19 -7.45 2.64
C -5.82 -7.32 3.44
C -4.74 -6.58 2.68
C -9.47 -7.14 0.29
C -8.64 -6.05 -0.37
C -9.19 -4.57 -0.16
C -8.28 -3.56 -0.81
H -6.75 -11.68 -4.14
H -7.24 -11.91 -2.54
H -5.62 -11.15 -2.99
H -8.38 -9.98 -3.74
H -6.84 -9.19 -4.04
H -7.67 -8.02 -2.23
H -6.47 -9.14 -1.53
H -8.13 -10.60 -0.53
H -9.47 -9.80 -1.33
H -10.72 -9.68 1.26
H -9.77 -9.13 2.65
H -8.93 -11.48 1.00
H -9.89 -11.86 2.43
H -7.04 -10.78 2.46
H -7.76 -12.33 3.02
H -8.28 -9.80 4.64
H -7.36 -11.17 5.02
H -9.15 -11.21 4.76
H -6.47 -7.71 0.66
H -6.49 -9.29 1.33
H -7.94 -7.86 3.32
H -7.50 -6.41 2.50
H -5.59 -8.35 3.71
H -5.95 -6.81 4.39
H -3.92 -6.33 3.35
H -5.14 -5.67 2.23
H -4.46 -7.19 1.82
H -9.75 -6.89 1.31
H -10.36 -7.30 -0.32
H -8.53 -6.22 -1.44
H -7.68 -6.01 0.15
H -9.51 -4.30 0.85
H -10.14 -4.57 -0.69
H -7.86 -3.83 -1.78
H -7.48 -3.50 -0.07
H -8.77 -2.59 -0.82
C 3.89 -12.90 -5.39
C 2.50 -12.32 -4.93
C 2.63 -10.95 -4.30
C 3.27 -10.91 -2.89
P 3.20 -9.35 -2.05
C 1.59 -8.46 -2.27
C 1.41 -7.80 -3.65
C 1.06 -6.32 -3.48
C -0.27 -6.00 -2.85
C 3.49 -9.51 -0.22
C 4.97 -9.79 0.20
C 4.99 -10.08 1.72
C 6.37 -10.62 2.08
C 4.53 -8.31 -2.69
C 4.61 -6.86 -2.01
C 5.72 -6.05 -2.61
C 7.05 -6.53 -2.15
H 4.54 -12.67 -4.55
H 4.37 -12.35 -6.20
H 3.78 -13.94 -5.70
H 2.13 -12.97 -4.14
H 1.77 -12.32 -5.74
H 1.63 -10.56 -4.11
H 3.09 -10.23 -4.99
H 4.29 -11.29 -2.81
H 2.76 -11.65 -2.26
H 1.59 -7.70 -1.50
H 0.76 -9.10 -1.96
H 0.53 -8.16 -4.17
H 2.16 -7.90 -4.43
H 1.01 -5.96 -4.51
H 1.78 -5.62 -3.06
H -0.42 -4.93 -2.71
H -0.38 -6.47 -1.87
H -1.12 -6.30 -3.47
H 2.72 -10.16 0.17
H 3.21 -8.58 0.28
H 5.63 -8.96 -0.04
H 5.25 -10.66 -0.38
H 4.15 -10.77 1.86
H 4.76 -9.22 2.35
H 7.14 -9.97 1.67
H 6.68 -11.63 1.78
H 6.44 -10.73 3.16
H 4.52 -8.38 -3.78
H 5.45 -8.82 -2.42
H 4.75 -6.85 -0.93
H 3.69 -6.32 -2.24
H 5.72 -5.05 -2.18
H 5.53 -5.89 -3.67
H 7.17 -6.72 -1.09
H 7.85 -5.84 -2.41
H 7.29 -7.48 -2.63
C -2.23 13.57 -2.88
C -3.73 13.66 -2.42
C -4.53 12.50 -2.95
C -5.96 12.25 -2.45
P -7.05 11.03 -3.20
C -7.24 11.31 -5.06
C -6.10 10.87 -6.03
C -6.24 11.37 -7.49
C -7.42 10.95 -8.40
C -8.64 11.04 -2.30
C -9.85 10.50 -3.09
C -9.82 8.99 -3.32
C -9.49 8.06 -2.05
C -6.24 9.46 -2.88
C -6.16 9.03 -1.40
C -5.45 7.68 -1.15
C -5.57 7.20 0.29
H -2.02 13.63 -3.94
H -1.89 12.60 -2.52
H -1.58 14.36 -2.48
H -4.05 14.64 -2.76
H -3.78 13.86 -1.35
H -4.00 11.58 -2.73
H -4.43 12.55 -4.04
H -6.40 13.22 -2.65
H -5.81 12.11 -1.37
H -7.38 12.38 -4.96
H -8.16 10.87 -5.45
H -5.91 9.80 -6.04
H -5.11 11.24 -5.77
H -5.35 11.05 -8.02
H -6.22 12.46 -7.50
H -7.30 9.90 -8.64
H -7.44 11.49 -9.35
H -8.33 11.08 -7.82
*/
## What to do
Please retype the whole of the material further above exactly.
## Result
Below is a structure of composition C82H182O6P5, with properties calculated with ωB97M-V/def2-TZVPD.

Results
Energy relative to the best compared isomer or geometry (same formula, charge and spin)   612.1 kJ/mol

ORCA input file:
```
! RIJCOSX wB97M-V def2-TZVPD def2/J DEFGRID3
* xyz 3 1
C 1.93 2.56 8.67
C 1.92 1.12 9.30
C 3.34 0.49 9.26
C 3.97 0.16 7.84
P 5.69 -0.62 7.89
C 6.59 0.11 9.33
C 7.19 1.58 9.23
C 6.38 2.82 9.66
C 7.14 4.04 10.06
C 6.73 -0.36 6.39
C 8.08 -1.08 6.57
C 9.09 -0.70 5.54
C 10.50 -1.42 5.57
C 5.52 -2.44 8.09
C 4.95 -2.84 9.50
C 5.20 -4.36 9.83
C 4.38 -4.82 11.03
H 0.97 3.05 8.83
H 1.99 2.55 7.58
H 2.76 3.11 9.11
H 1.11 0.52 8.90
H 1.57 1.19 10.33
H 3.18 -0.49 9.72
H 4.05 0.98 9.92
H 4.03 0.98 7.12
H 3.39 -0.60 7.31
H 7.37 -0.59 9.64
H 5.91 -0.08 10.16
H 7.63 1.59 8.24
H 8.04 1.54 9.92
H 5.66 2.37 10.35
H 5.66 3.14 8.90
H 7.55 3.82 11.04
H 6.46 4.86 10.31
H 7.90 4.33 9.34
H 6.80 0.70 6.15
H 6.21 -0.89 5.59
H 7.88 -2.13 6.37
H 8.52 -0.91 7.55
H 9.37 0.34 5.70
H 8.83 -0.74 4.48
H 11.02 -1.39 6.53
H 11.15 -0.99 4.81
H 10.44 -2.44 5.21
H 6.48 -2.94 7.97
H 4.81 -2.63 7.29
H 3.88 -2.66 9.34
H 5.31 -2.23 10.33
H 6.25 -4.48 10.09
H 4.95 -4.95 8.95
H 4.69 -4.25 11.91
H 4.55 -5.89 11.13
H 3.31 -4.73 10.85
C -6.70 -11.20 -3.17
C -7.38 -9.83 -3.34
C -7.43 -9.06 -2.03
C -8.46 -9.65 -0.96
P -8.69 -8.70 0.60
C -9.73 -9.71 1.72
C -9.19 -11.14 2.01
C -7.93 -11.26 2.89
C -8.19 -10.86 4.38
C -7.04 -8.35 1.33
C -7.19 -7.45 2.64
C -5.82 -7.32 3.44
C -4.74 -6.58 2.68
C -9.47 -7.14 0.29
C -8.64 -6.05 -0.37
C -9.19 -4.57 -0.16
C -8.28 -3.56 -0.81
H -6.75 -11.68 -4.14
H -7.24 -11.91 -2.54
H -5.62 -11.15 -2.99
H -8.38 -9.98 -3.74
H -6.84 -9.19 -4.04
H -7.67 -8.02 -2.23
H -6.47 -9.14 -1.53
H -8.13 -10.60 -0.53
H -9.47 -9.80 -1.33
H -10.72 -9.68 1.26
H -9.77 -9.13 2.65
H -8.93 -11.48 1.00
H -9.89 -11.86 2.43
H -7.04 -10.78 2.46
H -7.76 -12.33 3.02
H -8.28 -9.80 4.64
H -7.36 -11.17 5.02
H -9.15 -11.21 4.76
H -6.47 -7.71 0.66
H -6.49 -9.29 1.33
H -7.94 -7.86 3.32
H -7.50 -6.41 2.50
H -5.59 -8.35 3.71
H -5.95 -6.81 4.39
H -3.92 -6.33 3.35
H -5.14 -5.67 2.23
H -4.46 -7.19 1.82
H -9.75 -6.89 1.31
H -10.36 -7.30 -0.32
H -8.53 -6.22 -1.44
H -7.68 -6.01 0.15
H -9.51 -4.30 0.85
H -10.14 -4.57 -0.69
H -7.86 -3.83 -1.78
H -7.48 -3.50 -0.07
H -8.77 -2.59 -0.82
C 3.89 -12.90 -5.39
C 2.50 -12.32 -4.93
C 2.63 -10.95 -4.30
C 3.27 -10.91 -2.89
P 3.20 -9.35 -2.05
C 1.59 -8.46 -2.27
C 1.41 -7.80 -3.65
C 1.06 -6.32 -3.48
C -0.27 -6.00 -2.85
C 3.49 -9.51 -0.22
C 4.97 -9.79 0.20
C 4.99 -10.08 1.72
C 6.37 -10.62 2.08
C 4.53 -8.31 -2.69
C 4.61 -6.86 -2.01
C 5.72 -6.05 -2.61
C 7.05 -6.53 -2.15
H 4.54 -12.67 -4.55
H 4.37 -12.35 -6.20
H 3.78 -13.94 -5.70
H 2.13 -12.97 -4.14
H 1.77 -12.32 -5.74
H 1.63 -10.56 -4.11
H 3.09 -10.23 -4.99
H 4.29 -11.29 -2.81
H 2.76 -11.65 -2.26
H 1.59 -7.70 -1.50
H 0.76 -9.10 -1.96
H 0.53 -8.16 -4.17
H 2.16 -7.90 -4.43
H 1.01 -5.96 -4.51
H 1.78 -5.62 -3.06
H -0.42 -4.93 -2.71
H -0.38 -6.47 -1.87
H -1.12 -6.30 -3.47
H 2.72 -10.16 0.17
H 3.21 -8.58 0.28
H 5.63 -8.96 -0.04
H 5.25 -10.66 -0.38
H 4.15 -10.77 1.86
H 4.76 -9.22 2.35
H 7.14 -9.97 1.67
H 6.68 -11.63 1.78
H 6.44 -10.73 3.16
H 4.52 -8.38 -3.78
H 5.45 -8.82 -2.42
H 4.75 -6.85 -0.93
H 3.69 -6.32 -2.24
H 5.72 -5.05 -2.18
H 5.53 -5.89 -3.67
H 7.17 -6.72 -1.09
H 7.85 -5.84 -2.41
H 7.29 -7.48 -2.63
C -2.23 13.57 -2.88
C -3.73 13.66 -2.42
C -4.53 12.50 -2.95
C -5.96 12.25 -2.45
P -7.05 11.03 -3.20
C -7.24 11.31 -5.06
C -6.10 10.87 -6.03
C -6.24 11.37 -7.49
C -7.42 10.95 -8.40
C -8.64 11.04 -2.30
C -9.85 10.50 -3.09
C -9.82 8.99 -3.32
C -9.49 8.06 -2.05
C -6.24 9.46 -2.88
C -6.16 9.03 -1.40
C -5.45 7.68 -1.15
C -5.57 7.20 0.29
H -2.02 13.63 -3.94
H -1.89 12.60 -2.52
H -1.58 14.36 -2.48
H -4.05 14.64 -2.76
H -3.78 13.86 -1.35
H -4.00 11.58 -2.73
H -4.43 12.55 -4.04
H -6.40 13.22 -2.65
H -5.81 12.11 -1.37
H -7.38 12.38 -4.96
H -8.16 10.87 -5.45
H -5.91 9.80 -6.04
H -5.11 11.24 -5.77
H -5.35 11.05 -8.02
H -6.22 12.46 -7.50
H -7.30 9.90 -8.64
H -7.44 11.49 -9.35
H -8.33 11.08 -7.82